**Input:**
/*
An optimized crystal structure of CuSiMoIr. Source: the Open Quantum Materials Database, functional GGA-PBE.

Geometry as extended XYZ:
```
4
Lattice="0.000 3.033 3.033 3.033 0.000 3.033 3.033 3.033 0.000" Properties=species:S:1:pos:R:3 pbc="T T T"
Si 0.000 0.000 0.000
Mo 1.516 1.516 1.516
Cu 4.549 4.549 4.549
Ir 3.033 3.033 3.033
```

Results
energy relative to the lowest polymorph listed for this composition	0	meV/atom
volume	55.8	Å³ per cell
spin magnetization	0.016	Bohr magnetons per cell

----------

No. 1
Computed, not measured: a relaxed structure of Pm3Ni6Sb5 at the PBE level of DFT.

Unit cell a=4.2925 b=12.8297 c=9.9246 alpha=90.00 beta=90.00 gamma=90.00
Last column: nearest neighbours and their distance in Å.
Sites, in units of the cell vectors:
Pm1 0.2500 0.0787 0.2494  6 Sb 3.20-3.23, 7 Ni 3.22-3.33
Pm2 0.2500 0.4213 0.2494  6 Sb 3.20-3.23, 7 Ni 3.22-3.33
Pm3 0.2500 0.7500 0.2395  10 Ni 3.18-3.46, 6 Sb 3.20-3.22
Pm4 0.7500 0.2500 0.7605  10 Ni 3.18-3.46, 6 Sb 3.20-3.22
Pm5 0.7500 0.5787 0.7506  6 Sb 3.20-3.23, 7 Ni 3.22-3.33
Pm6 0.7500 0.9213 0.7506  6 Sb 3.20-3.23, 7 Ni 3.22-3.33
Ni1 0.2500 0.0735 0.6106  1 Ni 2.51, 4 Sb 2.53-2.63
Ni2 0.2500 0.2500 0.0072  4 Sb 2.56
Ni3 0.2500 0.2500 0.5015  2 Ni 2.51, 4 Sb 2.74
Ni4 0.2500 0.4265 0.6106  1 Ni 2.51, 4 Sb 2.53-2.63
Ni5 0.2500 0.5864 0.9985  4 Sb 2.54-2.55
Ni6 0.2500 0.9136 0.9985  4 Sb 2.54-2.55
Ni7 0.7500 0.0864 0.0015  4 Sb 2.54-2.55
Ni8 0.7500 0.4136 0.0015  4 Sb 2.54-2.55
Ni9 0.7500 0.5735 0.3894  1 Ni 2.51, 4 Sb 2.53-2.63
Ni10 0.7500 0.7500 0.4985  2 Ni 2.51, 4 Sb 2.74
Ni11 0.7500 0.7500 0.9928  4 Sb 2.56
Ni12 0.7500 0.9265 0.3894  1 Ni 2.51, 4 Sb 2.53-2.63
Sb1 0.2500 0.0835 0.8649  5 Ni 2.53-2.56
Sb2 0.2500 0.4165 0.8649  5 Ni 2.53-2.56
Sb3 0.2500 0.6172 0.5145  5 Ni 2.54-2.74
Sb4 0.2500 0.7500 0.8522  4 Ni 2.55-2.56
Sb5 0.2500 0.8828 0.5145  5 Ni 2.54-2.74
Sb6 0.7500 0.1172 0.4855  5 Ni 2.54-2.74
Sb7 0.7500 0.2500 0.1478  4 Ni 2.55-2.56
Sb8 0.7500 0.3828 0.4855  5 Ni 2.54-2.74
Sb9 0.7500 0.5835 0.1351  5 Ni 2.53-2.56
Sb10 0.7500 0.9165 0.1351  5 Ni 2.53-2.56

Size of the total moment = 0.000 Bohr magnetons per cell
Space-group type = Pmmn
Raw formation energy = -655 meV per atom


No. 2
Computed, not measured: a relaxed structure of CaInBi2Pb2 at the PBE level of DFT.

Unit cell a=4.6995 b=11.2656 c=7.3610 alpha=90.00 beta=90.00 gamma=90.00
Last column: nearest neighbours and their distance in Å.
Sites, in units of the cell vectors:
Ca1 0.0000 0.0495 0.0000  5 Bi 3.28-3.56, 4 In 3.44-3.67
Ca2 0.0000 0.9505 0.5000  5 Bi 3.28-3.56, 4 In 3.44-3.67
In1 0.5000 0.1621 0.7057  4 Bi 3.08-3.25, 2 Ca 3.44
In2 0.5000 0.8379 0.2057  4 Bi 3.08-3.25, 2 Ca 3.44
Bi1 0.0000 0.3370 0.7976  2 In 3.14, 3 Pb 3.34-3.44
Bi2 0.0000 0.6630 0.2976  2 In 3.14, 3 Pb 3.34-3.44
Bi3 0.5000 0.1205 0.2923  2 In 3.08-3.25, 4 Ca 3.28-3.40, 2 Pb 3.38
Bi4 0.5000 0.8795 0.7923  2 In 3.08-3.25, 4 Ca 3.28-3.40, 2 Pb 3.38
Pb1 0.0000 0.3347 0.2507  4 Bi 3.34-3.71, 4 Pb 3.50-3.57, 1 Ca 3.71
Pb2 0.0000 0.6653 0.7507  4 Bi 3.34-3.71, 4 Pb 3.50-3.57, 1 Ca 3.71
Pb3 0.5000 0.4748 0.5296  4 Bi 3.44-3.60, 6 Pb 3.50-3.72, 1 In 3.75
Pb4 0.5000 0.5252 0.0296  4 Bi 3.44-3.60, 6 Pb 3.50-3.72, 1 In 3.75

Size of the total moment = 0.000 Bohr magnetons per cell
ΔE_f = -0.21 eV/atom
Space-group type = Pmc2_1


No. 3
Computed, not measured: a relaxed structure of NiPIr at the PBE level of DFT.

Unit cell a=3.7373 b=3.7373 c=3.3301 alpha=90.00 beta=90.00 gamma=120.00
Last column: nearest neighbours and their distance in Å.
Sites, in units of the cell vectors:
Ni1 0.0000 0.0000 0.0000  3 P 2.34
P1 0.6667 0.3333 0.2698  3 Ir 2.28, 3 Ni 2.34
Ir1 0.3333 0.6667 0.4929  3 P 2.28

Size of the total moment = 0.000 Bohr magnetons per cell
ΔE_f = -0.24 eV/atom
Space-group type = P3m1


No. 4
Computed, not measured: a relaxed structure of RbZrPbSe2 at the PBE level of DFT.

Unit cell a=5.2459 b=5.2459 c=6.9071 alpha=90.00 beta=90.00 gamma=90.00
Last column: nearest neighbours and their distance in Å.
*/
**Exercise:**
Your job: transcribe the lines above without altering anything.
**Worked solution:**
An optimized crystal structure of CuSiMoIr. Source: the Open Quantum Materials Database, functional GGA-PBE.

Geometry as extended XYZ:
```
4
Lattice="0.000 3.033 3.033 3.033 0.000 3.033 3.033 3.033 0.000" Properties=species:S:1:pos:R:3 pbc="T T T"
Si 0.000 0.000 0.000
Mo 1.516 1.516 1.516
Cu 4.549 4.549 4.549
Ir 3.033 3.033 3.033
```

Results
energy relative to the lowest polymorph listed for this composition	0	meV/atom
volume	55.8	Å³ per cell
spin magnetization	0.016	Bohr magnetons per cell

----------

No. 1
Computed, not measured: a relaxed structure of Pm3Ni6Sb5 at the PBE level of DFT.

Unit cell a=4.2925 b=12.8297 c=9.9246 alpha=90.00 beta=90.00 gamma=90.00
Last column: nearest neighbours and their distance in Å.
Sites, in units of the cell vectors:
Pm1 0.2500 0.0787 0.2494  6 Sb 3.20-3.23, 7 Ni 3.22-3.33
Pm2 0.2500 0.4213 0.2494  6 Sb 3.20-3.23, 7 Ni 3.22-3.33
Pm3 0.2500 0.7500 0.2395  10 Ni 3.18-3.46, 6 Sb 3.20-3.22
Pm4 0.7500 0.2500 0.7605  10 Ni 3.18-3.46, 6 Sb 3.20-3.22
Pm5 0.7500 0.5787 0.7506  6 Sb 3.20-3.23, 7 Ni 3.22-3.33
Pm6 0.7500 0.9213 0.7506  6 Sb 3.20-3.23, 7 Ni 3.22-3.33
Ni1 0.2500 0.0735 0.6106  1 Ni 2.51, 4 Sb 2.53-2.63
Ni2 0.2500 0.2500 0.0072  4 Sb 2.56
Ni3 0.2500 0.2500 0.5015  2 Ni 2.51, 4 Sb 2.74
Ni4 0.2500 0.4265 0.6106  1 Ni 2.51, 4 Sb 2.53-2.63
Ni5 0.2500 0.5864 0.9985  4 Sb 2.54-2.55
Ni6 0.2500 0.9136 0.9985  4 Sb 2.54-2.55
Ni7 0.7500 0.0864 0.0015  4 Sb 2.54-2.55
Ni8 0.7500 0.4136 0.0015  4 Sb 2.54-2.55
Ni9 0.7500 0.5735 0.3894  1 Ni 2.51, 4 Sb 2.53-2.63
Ni10 0.7500 0.7500 0.4985  2 Ni 2.51, 4 Sb 2.74
Ni11 0.7500 0.7500 0.9928  4 Sb 2.56
Ni12 0.7500 0.9265 0.3894  1 Ni 2.51, 4 Sb 2.53-2.63
Sb1 0.2500 0.0835 0.8649  5 Ni 2.53-2.56
Sb2 0.2500 0.4165 0.8649  5 Ni 2.53-2.56
Sb3 0.2500 0.6172 0.5145  5 Ni 2.54-2.74
Sb4 0.2500 0.7500 0.8522  4 Ni 2.55-2.56
Sb5 0.2500 0.8828 0.5145  5 Ni 2.54-2.74
Sb6 0.7500 0.1172 0.4855  5 Ni 2.54-2.74
Sb7 0.7500 0.2500 0.1478  4 Ni 2.55-2.56
Sb8 0.7500 0.3828 0.4855  5 Ni 2.54-2.74
Sb9 0.7500 0.5835 0.1351  5 Ni 2.53-2.56
Sb10 0.7500 0.9165 0.1351  5 Ni 2.53-2.56

Size of the total moment = 0.000 Bohr magnetons per cell
Space-group type = Pmmn
Raw formation energy = -655 meV per atom


No. 2
Computed, not measured: a relaxed structure of CaInBi2Pb2 at the PBE level of DFT.

Unit cell a=4.6995 b=11.2656 c=7.3610 alpha=90.00 beta=90.00 gamma=90.00
Last column: nearest neighbours and their distance in Å.
Sites, in units of the cell vectors:
Ca1 0.0000 0.0495 0.0000  5 Bi 3.28-3.56, 4 In 3.44-3.67
Ca2 0.0000 0.9505 0.5000  5 Bi 3.28-3.56, 4 In 3.44-3.67
In1 0.5000 0.1621 0.7057  4 Bi 3.08-3.25, 2 Ca 3.44
In2 0.5000 0.8379 0.2057  4 Bi 3.08-3.25, 2 Ca 3.44
Bi1 0.0000 0.3370 0.7976  2 In 3.14, 3 Pb 3.34-3.44
Bi2 0.0000 0.6630 0.2976  2 In 3.14, 3 Pb 3.34-3.44
Bi3 0.5000 0.1205 0.2923  2 In 3.08-3.25, 4 Ca 3.28-3.40, 2 Pb 3.38
Bi4 0.5000 0.8795 0.7923  2 In 3.08-3.25, 4 Ca 3.28-3.40, 2 Pb 3.38
Pb1 0.0000 0.3347 0.2507  4 Bi 3.34-3.71, 4 Pb 3.50-3.57, 1 Ca 3.71
Pb2 0.0000 0.6653 0.7507  4 Bi 3.34-3.71, 4 Pb 3.50-3.57, 1 Ca 3.71
Pb3 0.5000 0.4748 0.5296  4 Bi 3.44-3.60, 6 Pb 3.50-3.72, 1 In 3.75
Pb4 0.5000 0.5252 0.0296  4 Bi 3.44-3.60, 6 Pb 3.50-3.72, 1 In 3.75

Size of the total moment = 0.000 Bohr magnetons per cell
ΔE_f = -0.21 eV/atom
Space-group type = Pmc2_1


No. 3
Computed, not measured: a relaxed structure of NiPIr at the PBE level of DFT.

Unit cell a=3.7373 b=3.7373 c=3.3301 alpha=90.00 beta=90.00 gamma=120.00
Last column: nearest neighbours and their distance in Å.
Sites, in units of the cell vectors:
Ni1 0.0000 0.0000 0.0000  3 P 2.34
P1 0.6667 0.3333 0.2698  3 Ir 2.28, 3 Ni 2.34
Ir1 0.3333 0.6667 0.4929  3 P 2.28

Size of the total moment = 0.000 Bohr magnetons per cell
ΔE_f = -0.24 eV/atom
Space-group type = P3m1


No. 4
Computed, not measured: a relaxed structure of RbZrPbSe2 at the PBE level of DFT.

Unit cell a=5.2459 b=5.2459 c=6.9071 alpha=90.00 beta=90.00 gamma=90.00
Last column: nearest neighbours and their distance in Å.